Note: This forum is merely an archive. It is no longer possible to register or post. - StackOverflow New Ace of Spades Forums:
Join the Brotherhood Snipers! A new and upcoming small clan. NOW RECRUITING!!! Just search BHS on the forums page. Current Leaders: Benomatic0 (Founder-Rifleman) and STRIKEFORCE (Designer-Sub-Machine Gunner) This is a program that i want all BHS and any other members to have. It tells the user the members of the clan and some information!
Join the Brotherhood Snipers! A new and upcoming small clan. NOW RECRUITING!!! Just search BHS on the forums page. Current Leaders: Benomatic0 (Founder-Rifleman) and STRIKEFORCE (Designer-Sub-Machine Gunner)
Deathslayer, that is to make sure you have read the rules before applying
Join the Brotherhood Snipers! A new and upcoming small clan. NOW RECRUITING!!! Just search BHS on the forums page. Current Leaders: Benomatic0 (Founder-Rifleman) and STRIKEFORCE (Designer-Sub-Machine Gunner)
Name: Travis IGN: [^UWD^]Travisty New IGN: [^UWD^]Trav{BHS} Country: Australia Do You Accept The Rules?: Yes Timezone: +10 GMT Main Server(s): STOOGE GAMERS - AUSTRALIA Gender: Male Favourite Weapon(s): Rifle, SMG Age:13 Why I want to join: The owner of BHS told me to (I forgot his name :P)
^^^Click to go to my clan page^^^ IGN: [^UWD^]Travisty
Last edited by STRIKEFORCE081 on Mon Oct 01, 2012 12:20 am, edited 1 time in total.
Join the Brotherhood Snipers! A new and upcoming small clan. NOW RECRUITING!!! Just search BHS on the forums page. Current Leaders: Benomatic0 (Founder-Rifleman) and STRIKEFORCE (Designer-Sub-Machine Gunner)
**These data records were left in the piece by mistake:**
Record 1
The following is a DFT calculation (ωB97M-V with the def2-TZVPD basis set) of a cluster of 5 separate species, C5H19N2O5 in total.

Results
- gap between HOMO and LUMO (eV) = 6.04
- total energy (Eh) = -687.53142

ORCA input file:
```
! RIJCOSX wB97M-V def2-TZVPD def2/J DEFGRID3
* xyz -1 1
C -1.84 -0.72 2.27
O -1.75 -0.55 3.74
C -1.18 0.52 1.64
C -1.10 0.38 0.16
C 0.30 0.56 -0.40
C 0.67 -0.40 -1.32
N 1.81 -0.33 -2.17
N 0.88 1.73 -0.21
H -2.93 -0.67 2.04
H -1.25 -1.66 2.13
H -0.29 0.55 2.27
H -1.63 1.46 1.91
H -1.75 1.02 -0.40
H -1.40 -0.69 -0.15
H 0.19 -1.32 -1.72
H 2.62 0.32 -1.94
H 1.40 0.14 -2.95
H 1.62 2.12 -0.74
H 0.40 2.65 1.55
H 1.29 -3.09 -0.44
H 0.93 -1.78 0.33
O 0.73 -2.73 0.18
H -0.87 2.66 2.36
H -0.77 -0.66 3.89
O 0.06 2.82 2.50
H 2.38 2.61 -2.64
H 3.21 1.66 -1.84
O 3.28 2.38 -2.44
H -1.89 -3.69 -2.20
H -1.16 -2.35 -2.58
O -1.96 -2.95 -2.85
*
```

***

Record 2
The following is a DFT calculation (ωB97M-V with the def2-TZVPD basis set) of a cluster of 3 separate species, C5H19N3O2 in total.

Results
- gap between HOMO and LUMO (eV) = 9.08
- total energy (Eh) = -516.59758

ORCA input file:
```
! RIJCOSX wB97M-V def2-TZVPD def2/J DEFGRID3
* xyz 0 1
N -0.85 -0.01 -1.23
C -0.01 0.73 -0.29
C 0.91 -0.16 0.53
C 0.31 -0.96 1.76
N -0.90 -1.69 1.40
C -0.84 1.77 0.53
N -0.24 3.08 0.70
C 0.62 3.07 1.90
H -0.73 -1.01 -1.13
H -1.85 0.12 -1.11
H 0.63 1.32 -0.95
H 1.71 0.47 0.92
H 1.38 -0.98 0.00
H -0.04 -0.11 2.35
H 1.02 -1.53 2.36
H -1.32 -2.21 2.16
H -0.77 -2.39 0.66
H -1.76 1.82 -0.07
H -1.11 1.31 1.48
H 0.37 3.26 -0.08
H 1.40 2.30 1.90
H 1.29 3.93 1.82
H 0.02 2.95 2.79
H 0.50 -1.51 -2.84
H -0.06 -1.32 -4.25
O 0.26 -1.99 -3.64
H 1.19 -3.31 -0.67
H 0.26 -2.93 -1.80
O 0.53 -2.65 -0.91
*
```

***

Record 3
The following is a DFT calculation (ωB97M-V with the def2-TZVPD basis set) of a cluster of 4 separate species, C5H19NO4S in total.

Results
- gap between HOMO and LUMO (eV) = 9.23
- total energy (Eh) = -955.77103

ORCA input file:
```
! RIJCOSX wB97M-V def2-TZVPD def2/J DEFGRID3
* xyz 0 1
C -0.88 2.25 0.91
O -1.74 2.76 -0.09
C -0.26 0.86 0.67
C -0.05 0.16 2.02
C 0.43 -1.29 1.86
S 2.23 -1.49 1.48
C 2.99 0.10 1.14
N -1.23 0.15 -0.20
H -1.54 2.21 1.78
H -0.06 2.93 1.18
H -1.28 2.66 -0.94
H 0.62 0.96 0.04
H -1.00 0.19 2.57
H 0.55 0.79 2.68
H 0.46 -1.63 2.89
H -0.22 -1.90 1.26
H 2.50 0.76 0.42
H 3.87 -0.29 0.62
H 3.27 0.65 2.03
H -1.11 -0.86 -0.12
H -2.19 0.37 -0.01
H -0.17 -0.81 -3.07
H -1.22 -0.53 -1.99
O -1.13 -0.75 -2.94
H -0.06 1.36 -3.61
H -0.31 1.24 -2.10
O 0.02 1.84 -2.78
H -1.45 -3.21 -2.38
H -2.63 -2.38 -1.94
O -1.96 -2.98 -1.60
*
```

***

Record 4
The following is a DFT calculation (ωB97M-V with the def2-TZVPD basis set) of a cluster of 6 separate species, C5H19NO6 in total.

Results
- expectation value of S² = 0.76
- gap between HOMO and LUMO (alpha / beta) (eV) = 10.17 / 6.31
- total energy (Eh) = -707.74894

ORCA input file:
```
! RIJCOSX wB97M-V def2-TZVPD def2/J DEFGRID3
* xyz 1 2
O -0.11 0.99 2.82
C -1.28 0.63 2.79
Bioblade to Lieutenant please he got lots of kills today.
Join the Brotherhood Snipers! A new and upcoming small clan. NOW RECRUITING!!! Just search BHS on the forums page. Current Leaders: Benomatic0 (Founder-Rifleman) and STRIKEFORCE (Designer-Sub-Machine Gunner)
You were banned because of two reasons... 1. You were bragging. Calling yourself the best AOS player in Austraila. And because you say that, your not the best player. In this clan we want people to have skill and respect of other players. 2. You spammed... we don't accept that in this clan.
Because of these reasons u have been Banned Don't even think about coming back. You have just pushed it
I was able to celabrate. Because I finnaly got 250+ kills :D
You were also banned because you are a clan hopper. You have applied for many clans, and kept changing. We do not want clan hoppers, because they are not dedicated to their clan.
Name:risheb IGN:predator New IGN:[bhs]predator Country:India Do You Accept The Rules?:yes Timezone:Indian Standard Time Main Server(s):Minit us-assault Gender:male Favourite Weapon(s)rifle Age:13 Why I want to join: I want to join because i have never been in a clan ,so i want to know how a clan works.I want to join this clan because i like the rules.Especially the Kangaroo part XD.:)
PENDING We are currently deciding either to let you in or not. In the meanwhile thanks for having a go at joining our clan! We will let you know as soon as possible if you are in or not. - War
**Next to the page, the page also holds quantum chemistry results:**
=====
Record 1
Molecular formula: C28H30BaClN4O5S3
Method: DFT, the ωB97M-V functional and the def2-TZVPD basis

ORCA input file:
```
! wB97M-V def2-TZVPD RIJCOSX def2/J DEFGRID3
* xyz -1 1
Ba -13.396 -11.425 14.871
C -16.850 -9.640 16.546
O -15.692 -9.514 15.732
C -16.115 -9.014 14.477
C -16.669 -10.044 13.514
O -15.790 -11.099 13.273
C -16.348 -12.404 13.318
C -16.856 -12.942 14.648
O -15.814 -12.812 15.604
C -16.205 -13.599 16.836
H -17.096 -8.636 16.946
H -16.539 -10.240 17.389
H -17.785 -10.061 16.066
H -15.253 -8.595 14.011
H -16.938 -8.261 14.528
H -16.927 -9.458 12.575
H -17.685 -10.457 13.862
H -15.662 -13.083 12.786
H -17.231 -12.368 12.635
H -17.073 -14.009 14.501
H -17.686 -12.430 14.960
H -17.041 -13.131 17.276
H -15.458 -13.825 17.550
H -16.406 -14.589 16.477
C -12.518 -1.049 13.200
O -13.042 -1.952 12.313
C -12.186 -2.693 11.607
C -12.722 -3.791 11.007
C -11.961 -4.774 10.470
C -10.585 -4.645 10.469
C -10.057 -3.413 10.932
C -10.814 -2.450 11.524
N -9.828 -5.627 9.853
N -9.816 -6.834 10.257
C -10.466 -7.227 11.442
C -10.615 -6.514 12.645
C -11.171 -7.200 13.718
C -11.670 -8.530 13.750
O -12.214 -9.083 14.757
C -11.530 -9.230 12.431
N -11.890 -10.543 12.364
C -11.629 -11.217 11.295
C -11.004 -10.686 10.132
C -10.715 -9.365 10.166
C -10.950 -8.574 11.350
H -13.299 -0.510 13.556
H -11.838 -0.367 12.753
H -12.018 -1.636 14.031
H -13.803 -3.998 11.058
H -12.521 -5.625 10.140
H -9.022 -3.193 10.891
H -10.254 -1.633 11.917
H -10.266 -5.510 12.809
H -11.199 -6.634 14.653
H -11.744 -12.277 11.369
H -10.761 -11.306 9.329
H -10.290 -8.903 9.268
S -14.560 -15.977 15.467
C -13.508 -14.716 15.246
S -13.052 -14.022 13.747
S -12.751 -13.835 16.606
Cl -12.246 -11.932 21.399
C -11.960 -11.103 19.910
C -11.117 -10.052 19.906
C -10.943 -9.287 18.748
C -11.855 -9.630 17.675
N -12.531 -10.792 17.685
C -12.693 -11.453 18.796
H -10.493 -9.721 20.744
H -10.327 -8.383 18.583
H -11.926 -9.076 16.733
H -13.253 -12.389 18.730
*
```

Properties
LUMO level = 1.922 eV
Relative energy (zero: lowest compared OMol25 entry of this formula, charge and spin) = 1.841 eV
Orbital gap = 5.40 eV
E = -91442.477 eV


Record 2
Molecular formula: C6H13NO3
Method: DFT, the ωB97M-V functional and the def2-TZVPD basis

ORCA input file:
```
! wB97M-V def2-TZVPD RIJCOSX def2/J DEFGRID3
* xyz 0 1
C -2.024 0.354 -1.177
C -1.434 -1.679 0.078
C -0.057 0.153 1.871
C 0.488 1.585 -0.248
C -0.869 -0.385 -0.605
C -0.116 0.479 0.342
N 3.282 -0.409 -0.079
O 4.358 -0.839 -0.317
O 3.043 0.856 -0.556
O 2.346 -0.840 0.525
H -2.377 1.256 -0.656
H -2.894 -0.363 -1.407
H -1.850 0.832 -2.177
H -2.356 -2.014 -0.451
H -1.646 -1.467 1.131
H -0.720 -2.479 -0.054
H -1.036 0.433 2.255
H 0.794 0.745 2.218
H 0.163 -0.864 2.020
H 0.789 2.403 0.354
H 0.292 1.873 -1.319
H 1.910 1.104 -0.452
H -0.086 -0.734 -1.294
*
```

Properties
LUMO level = 0.415 eV
Relative energy (zero: lowest compared OMol25 entry of this formula, charge and spin) = 6.947 eV
SMILES string = O=[N+]([O-])O.C=C(C)C(C)C
Orbital gap = 10.29 eV
=====
I was able to celabrate. Because I finnaly got 250+ kills :D